How to solve a system of equations which contains symbols in MATLAB? - matlab

I am trying to solve those four equations for "p, x, y, z," , which contains two parameters "b", "a", and I have used solve command as shown in the code:
syms p x y z b a
eqn1 = (1)*p + (exp(0.5*b^(1/3)))*x + (exp(-0.25*b^(1/3)) * cos(0.25*sqrt(3)*b^(1/3)))*y + (exp(-0.25*b^(1/3)) * sin(0.25*sqrt(3)*b^(1/3)))*z == 0;
eqn2 = (1)*p + (exp(-0.5*b^(1/3)))*x + (exp(0.25*b^(1/3)) * cos(0.25*sqrt(3)*b^(1/3)))*y - (exp(0.25*b^(1/3)) * sin(0.25*sqrt(3)*b^(1/3)))*z == 0;
eqn3 = (b^(1/3)*exp(0.5*b^(1/3))+a*b^(2/3)*exp(0.5*b^(1/3)))*x + (-.866*b^.333*sin(.433*b^.333)*exp(-.25*b^.333)-.5*cos(.433*b^.333)*b^.333*exp(-.25*b^.333) + a(-.5*b^.666*cos(.433*b^.333)*exp(-.25*b^.333)+.866*b^.666*sin(.433*b^.333)*exp(-.25*b^.333)))*y + (.866*cos(.433*b^.333)*b^.333*exp(-.25*b^.333)-.5*b^.333*sin(.433*b^.333)*exp(-.25*b^.333)+a(-.5*b^.666*sin(.433*b^.333)*exp(-.25*b^.333)-.866*b^.666*cos(.433*b^.333)*exp(-.25*b^.333)))*z == 0;
eqn4 = (b^(1/3)*exp(-0.5*b^(1/3))-a*b^(2/3)*exp(-0.5*b^(1/3)))*x + (.866*b^.333*sin(.433*b^.333)*exp(.25*b^.333)-.5*cos(.433*b^.333)*b^.333*exp(.25*b^.333) - a(-.5*b^.666*cos(.433*b^.333)*exp(.25*b^.333)-.866*b^.666*sin(.433*b^.333)*exp(.25*b^.333)))*y + (.866*cos(.433*b^.333)*b^.333*exp(.25*b^.333)+.5*b^.333*sin(.433*b^.333)*exp(.25*b^.333)-a(.5*b^.666*sin(.433*b^.333)*exp(.25*b^.333)-.866*b^.666*cos(.433*b^.333)*exp(.25*b^.333) ))*z == 0;
sol = solve([eqn1, eqn2, eqn3, eqn4 ], [p, x, y, z]);
pSol = sol.p
xSol = sol.x
ySol = sol.y
zSol = sol.z
, but it keeps showing errors, would you please suggest any solution to this issue.

_Records of crystals, kept here for reference_
-- begin --
CrSn2GeTe | PBE | relaxed

a = 5.443 Å, b = 5.443 Å, c = 4.633 Å
α = 90.00°, β = 90.00°, γ = 90.00°
Space group P4/mmm (No. 123)
Unique sites:
Cr: 0.000 0.000 0.000 [1 per cell]
Sn: 0.000 0.500 0.500 [2 per cell]
Ge: 0.000 0.000 0.500 [1 per cell]
Te: 0.500 0.500 0.000 [1 per cell]

Output
Formation energy without anion corrections   0.80 eV/atom
-- stop --

Let's look at this :
eqn3 = (b^(1/3)*exp(0.5*b^(1/3))+a*b^(2/3)*exp(0.5*b^(1/3)))*x + (-.866*b^.333*sin(.433*b^.333)*exp(-.25*b^.333)-.5*cos(.433*b^.333)*b^.333*exp(-.25*b^.333) + a(-.5*b^.666*cos(.433*b^.333)*exp(-.25*b^.333)+.866*b^.666*sin(.433*b^.333)*exp(-.25*b^.333)))*y + (.866*cos(.433*b^.333)*b^.333*exp(-.25*b^.333)-.5*b^.333*sin(.433*b^.333)*exp(-.25*b^.333)+a(-.5*b^.666*sin(.433*b^.333)*exp(-.25*b^.333)-.866*b^.666*cos(.433*b^.333)*exp(-.25*b^.333)))*z == 0;
I pick one of the wrong parts out, 4 in total.
You see, if a(index) exists, index must be a positive integer. However, in your code the value of -.5*b^.666*cos(.433*b^.333)*exp(-.25*b^.333)+.866*b^.666*sin(.433*b^.333)*exp(-.25*b^.333) might not be a positive integer. And A may not even be a matrix, let alone an index.
Plus, before you post your question, you' d better check the basic grammar issues to save each other's time.

(Calculated crystals, as found in the file)
<<<
Computed, not measured: a geometry-optimized MnB2Br structure at the GGA-PBE level of DFT.

## Properties
- VASP energy: -16.07 eV/f.u.
- Density: 6.114 g cm⁻³
- Total magnetic moment: 0.0 μB/cell
- DOS(E_F): 0.36 states/eV per atom

a = 3.917 Å, b = 3.917 Å, c = 3.917 Å
α = 60.00°, β = 60.00°, γ = 60.00°
Sites, in units of the cell vectors:
Mn: 0.000 0.000 0.000
Br: 0.500 0.500 0.500
B: 0.250 0.250 0.250
B: 0.750 0.750 0.750

----------

No. 1
Crystalline Rb2TmCdBr6 at its relaxed geometry. Source: Alexandria, functional PBE.

abc: 8.017 8.441 11.576
angles: 90.00 90.00 90.00
Fractional coordinates of all 20 atoms:
1 Tm 0.000 0.771 0.000
2 Cd 0.500 0.278 0.000
3 Br 0.259 0.992 0.500
4 Br 0.248 0.451 0.500
5 Br 0.000 0.778 0.239
6 Rb 0.000 0.208 0.722
7 Br 0.500 0.222 0.739
8 Rb 0.500 0.792 0.778
9 Br 0.241 0.008 0.000
10 Br 0.759 0.008 0.000
11 Tm 0.500 0.229 0.500
12 Br 0.252 0.549 0.000
13 Br 0.500 0.222 0.261
14 Rb 0.000 0.208 0.278
15 Br 0.000 0.778 0.761
16 Br 0.741 0.992 0.500
17 Rb 0.500 0.792 0.222
18 Cd 0.000 0.722 0.500
19 Br 0.752 0.451 0.500
20 Br 0.748 0.549 0.000

Output
ΔE_f (raw)	-1.49	eV/atom



No. 2
Crystalline Ba3Cd8Hg3 at its relaxed geometry. Source: Alexandria, functional PBE.

abc: 5.199 9.516 9.516
angles: 66.21 74.15 74.15
Fractional coordinates of all 14 atoms:
1 Cd 0.364 0.352 0.919
2 Cd 0.831 0.529 0.810
3 Ba 0.192 0.808 0.808
4 Cd 0.636 0.648 0.081
5 Cd 0.364 0.919 0.352
6 Hg 0.000 0.214 0.786
7 Cd 0.169 0.471 0.190
8 Hg 0.500 0.000 0.000
9 Ba 0.808 0.192 0.192
10 Cd 0.831 0.810 0.529
11 Ba 0.500 0.500 0.500
12 Hg 0.000 0.786 0.214
13 Cd 0.636 0.081 0.648
14 Cd 0.169 0.190 0.471

Output
formation enthalpy at 0 K	-0.29	eV/atom



No. 3
Crystalline Na2HgGe at its relaxed geometry. Source: Alexandria, functional PBE.

abc: 6.120 11.532 6.937
angles: 123.97 90.00 90.00
Fractional coordinates of all 16 atoms:
1 Hg 0.836 0.345 0.714
2 Na 0.409 0.850 0.176
3 Ge 0.611 0.384 0.392
4 Na 0.591 0.150 0.824
5 Na 0.321 0.426 0.787
6 Na 0.679 0.574 0.213
7 Na 0.910 0.650 0.824
8 Hg 0.164 0.655 0.286
9 Hg 0.336 0.155 0.286
10 Ge 0.889 0.884 0.392
11 Na 0.090 0.350 0.176
12 Ge 0.111 0.116 0.608
13 Ge 0.389 0.616 0.608
14 Na 0.179 0.926 0.786
15 Hg 0.664 0.845 0.714
16 Na 0.821 0.074 0.214

Output
formation enthalpy at 0 K	-0.13	eV/atom



No. 4
Crystalline Y3PuSb4 at its relaxed geometry. Source: Alexandria, functional PBE.

abc: 4.408 7.616 7.616
angles: 109.46 90.00 90.00
Fractional coordinates of all 8 atoms:
1 Sb 0.500 0.750 0.250
2 Sb 0.500 0.250 0.750
3 Pu 0.500 0.000 0.000
4 Sb 0.000 0.750 0.750
5 Y 0.000 0.000 0.500
6 Y 0.500 0.500 0.500
7 Sb 0.000 0.250 0.250
8 Y 0.000 0.500 0.000

Output
ΔE_f (raw)	-1.02	eV/atom



No. 5
Crystalline Cs3PaS6 at its relaxed geometry. Source: Alexandria, functional PBE.

abc: 8.421 8.421 8.421
angles: 60.00 60.00 60.00
Fractional coordinates of all 10 atoms:
1 S 0.783 0.783 0.217
2 S 0.217 0.783 0.783
3 Cs 0.250 0.250 0.250
4 Pa 0.000 0.000 0.000
5 S 0.217 0.783 0.217
6 S 0.783 0.217 0.217
>>>


How to make the response of the solve function symbolic?

I am solving a fourth order equation in matlab using the solve function.My script looks like this:
syms m M I L Bp Bc g x
m = 0.127
M = 1.206
I = 0.001
L = 0.178
Bc = 5.4
Bp = 0.002
g = 9.8
eqn = ((m + M)*(I + m*L^2) - m^2*L^2)*x^4 + ((m + M)*Bp + (I + m*L^2)*Bc)*x^3 + ((m + M)*m*g*L + Bc*Bp)*x^2 + m*g*L*Bc*x == 0
S = solve(eqn, x)
In the answer, I should get 4 roots, but instead I get such strange expressions:
S =
root(z^3 + (34351166180215288*z^2)/7131724328013535 + (352922208800606144*z)/7131724328013535 + 1379250971773894912/7131724328013535, z, 1)
root(z^3 + (34351166180215288*z^2)/7131724328013535 + (352922208800606144*z)/7131724328013535 + 1379250971773894912/7131724328013535, z, 2)
root(z^3 + (34351166180215288*z^2)/7131724328013535 + (352922208800606144*z)/7131724328013535 + 1379250971773894912/7131724328013535, z, 3)
The first root, which is 0, is displayed clearly. Is it possible to make the other three roots appear as numbers as well? I looked for something about this in the documentation for the solve function, but did not find it.

ODE solver using Lobatto IIIA with table of coefficients

So I'm trying to figure out how to solve a given equation y'=-y+2te^(-t+2) for t in [0,10], step of 0.01 and y(0)=0.
I am supposed to solve it using the Lobatto IIIA method following a Butcher tableau:
Coefficients table
So far, this is what I got:
function lob = Lobatto_solver()
h = 0.01;
t = 0:h:10;
y = zeros(size(t));
y(1) = 0;
f = #(t,y) -y + (2*t*(exp(-t+2)));
% Lobatto IIIA Method
for i=1:numel(y)-1
f1 = f(t(i), y(i));
f2 = f(t(i)+(1/2)*h, y(i) + (5/24)*h*f1 + (1/3)*h*f2 + (-1/24)*h*f3);
f3 = f(t(i)+h, y(i) + (1/6)*h*f1 + (2/3)*h*f2 + (1/6)*h*f3);
y(x) = y(i) + h*((-1/2)*f1 + (2)*f2 + (-1/2)*f3);
It obviously makes no sense from the point when I equal f2 to itself, when the variable is still undefined.
Any help would be much appreciated :)
You will need a predictor-corrector loop, in the simple case the corrector uses the slope-equations as basis of a fixed-point iteration. In the code below I use also the value of an explicit Euler step, in principle you could initialize all slopes with f1.
function lob = Lobatto_solver()
h = 0.01;
t = 0:h:10;
y = zeros(size(t));
y(1) = 0;
f = #(t,y) -y + (2*t*(exp(-t+2)));
% Lobatto IIIA Method
for i=1:numel(y)-1
f1 = f(t(i), y(i));
f3 = f(t(i)+h, y(i)+h*f1)
f2 = (f1+f3)/2;
for k=1:3
f2 = f(t(i)+(1/2)*h, y(i) + (5/24)*h*f1 + (1/3)*h*f2 + (-1/24)*h*f3);
f3 = f(t(i)+h, y(i) + (1/6)*h*f1 + (2/3)*h*f2 + (1/6)*h*f3);
y(i+1) = y(i) + h*((-1/2)*f1 + (2)*f2 + (-1/2)*f3);
The graph shows that the result (blue) is qualitatively correct, the exact solution curve (green) is shifted so that two distinct curves can be seen.

MATLAB System of Dependent Differential Equations

Given a system of differential equations such as:
dy/dt = f(t)
dx/dt = g(t)
A solution can be found using dsolve, such as:
dsolve(diff(y) == f(t), diff(x) == g(t), y(0) == 1, x(0) == 1);
But what about a system where all the variables depend on each other:
dy/dt = f(y,z)
dx/dt = g(x,y)
dz/dt = h(z,x)
When approached in the same way, with initial conditions, for a system which does have a solution, I cannot find a solution.
I know the system I have tried can produce solutions as I have used a stochastic/deterministic simulator - think there's probably some strange syntax to use.
I'm specifically looking for the solution where the derivatives are all zero, if that helps.
Here is an example:
PX/dt = (k_tl*(a0_tr + ((a_tr*KM^n)/((KM^n) + (PZ^n))))/kd_mRNA)-kd_prot*PX;
PY/dt = (k_tl*(a0_tr + ((a_tr*KM^n)/((KM^n) + (PX^n))))/kd_mRNA)-kd_prot*PY;
PZ/dt = (k_tl*(a0_tr + ((a_tr*KM^n)/((KM^n) + (PY^n))))/kd_mRNA)-kd_prot*PZ;
with the coefficients:
eff = 20;
KM = 40;
t_ave = tau_mRNA/log(2);
kd_mRNA = log(2)/tau_mRNA;
kd_prot = log(2)/tau_prot;
beta = tau_mRNA/tau_prot;
alpha = a_tr*eff*tau_prot/(log(2)*KM);
alpha0 = a0_tr*eff*tau_prot/(log(2)*KM);
And the initial conditions:
PX0 = 20;
PY0 = 0;
PZ0 = 0;
This produces a response:
This clearly has a steady state solution (all derivatives 0).
In MATLAB I have tried:
syms PX(t) PY(t) PZ(t);
z = dsolve(diff(PX) == (k_tl*(a0_tr + ((a_tr*KM^n)/((KM^n) + (PZ^n))))/kd_mRNA)-kd_prot*PX, diff(PY) == (k_tl*(a0_tr + ((a_tr*KM^n)/((KM^n) + (PX^n))))/kd_mRNA)-kd_prot*PY, diff(PZ)==(k_tl*(a0_tr + ((a_tr*KM^n)/((KM^n) + (PY^n))))/kd_mRNA)-kd_prot*PZ,PX(0)==20)
eq1 = (k_tl*(a0_tr + ((a_tr*KM^n)/((KM^n) + (PZ^n))))/kd_mRNA)-kd_prot*PX;
eq2 = (k_tl*(a0_tr + ((a_tr*KM^n)/((KM^n) + (PX^n))))/kd_mRNA)-kd_prot*PY;
eq3 = (k_tl*(a0_tr + ((a_tr*KM^n)/((KM^n) + (PY^n))))/kd_mRNA)-kd_prot*PZ;
Both produce no errors but return an empty sym.
Your numeric solution appears to have an oscillatory component. The "steady state" may be a zero amplitude limit cycle, which is a non-trivial solution. You definitely shouldn't expect a system like this to have an easy-to-find analytic solution. The cyclic relations between your three variables also doesn't help. For what it's worth, Mathematica 10's DSolve also is unable to find a solution.
Though it won't get you to a solution, the way you're using symbolic math is less than optimal. When you use something like log(2) in a symbolic math equation, 2 should be converted to a symbolic value first. For example, sym(log(2)) yields the approximation 6243314768165359/9007199254740992, whereas log(sym(2)) returns the exact log(2). This latter form is much more likely to lead to solutions if they exist. Here's a modified version of your code, which unfortunately still returns "Warning: Explicit solution could not be found":
eff = 20;
KM = 40;
ln2 = log(sym(2));
t_ave = tau_mRNA/ln2;
kd_mRNA = ln2/tau_mRNA;
kd_prot = ln2/tau_prot;
beta = tau_mRNA/tau_prot;
alpha = a_tr*eff*tau_prot/(ln2*KM);
alpha0 = a0_tr*eff*tau_prot/(ln2*KM);
PX0 = 20;
PY0 = 0;
PZ0 = 0;
syms PX(t) PY(t) PZ(t);
eq1 = (k_tl*(a0_tr + a_tr*KM^n/(KM^n + PZ^n))/kd_mRNA)-kd_prot*PX;
eq2 = (k_tl*(a0_tr + a_tr*KM^n/(KM^n + PX^n))/kd_mRNA)-kd_prot*PY;
eq3 = (k_tl*(a0_tr + a_tr*KM^n/(KM^n + PY^n))/kd_mRNA)-kd_prot*PZ;
s = dsolve(diff(PX,t)==eq1,diff(PY,t)==eq2,diff(PZ,t)==eq3,PX(0)==20,PY(0)==0,PZ(0)==0)

Is this function handle too long for MATLAB to integrate?

(The piece is interrupted by materials data)
(1)
SnAsHOsBr: relaxed, PBE.

The distance to the lowest polymorph of the same formula is 137 meV per atom.

The space group is Cm (No. 8) and the conventional cell measures 9.788, 3.170 and 6.532 Å, with angles of 90.00, 96.55 and 90.00 degrees. The distinct sites, in fractional coordinates, are Sn at (0.000, 0.000, 0.000), As at (0.236, 0.000, 0.658), H at (0.273, 0.000, 0.093), Os at (0.222, 0.500, 0.947) and Br at (0.493, 0.500, 0.440).

---

(2)
LiMn5Pd6: relaxed, PBE.

The total energy comes out at -0.501 Ry per atom.

The space group is C2/m (No. 12) and the conventional cell measures 7.546, 13.243 and 4.421 Å, with angles of 90.00, 125.73 and 90.00 degrees. The distinct sites, in fractional coordinates, are Li at (0.000, 0.000, 0.000), Mn at (0.000, 0.167, 0.500), Mn at (0.000, 0.334, 0.000), Mn at (0.000, 0.500, 0.500), Pd at (0.248, 0.000, 0.748) and Pd at (0.249, 0.167, 0.249).

---

(3)
MoIrRh2: relaxed, PBE.

The distance to the lowest polymorph of the same formula is 110 meV per atom.

The space group is I4/mmm (No. 139) and the conventional cell measures 3.868, 3.868 and 7.794 Å, with angles of 90.00, 90.00 and 90.00 degrees. The distinct sites, in fractional coordinates, are Mo at (0.000, 0.000, 0.000), Ir at (0.000, 0.000, 0.500) and Rh at (0.000, 0.500, 0.250).

---

(4)
Sr2TcPb: relaxed, PBE.

The total energy comes out at -0.287 Ry per atom.

The space group is Immm (No. 71) and the conventional cell measures 4.963, 4.990 and 9.482 Å, with angles of 90.00, 90.00 and 90.00 degrees. The distinct sites, in fractional coordinates, are Sr at (0.000, 0.000, 0.249), Tc at (0.000, 0.500, 0.500) and Pb at (0.000, 0.500, 0.000).

---

(5)
CdTc2NiN: relaxed, PBE.

Its formation energy without anion corrections is 0.165 eV per atom.

The space group is P4/mmm (No. 123) and the conventional cell measures 4.072, 4.072 and 4.008 Å, with angles of 90.00, 90.00 and 90.00 degrees. The distinct sites, in fractional coordinates, are Cd at (0.000, 0.000, 0.000), Tc at (0.000, 0.500, 0.500), Ni at (0.500, 0.500, 0.000) and N at (0.500, 0.500, 0.500).

---

(6)
Ho2InAu2: relaxed, PBE.

The total energy comes out at -0.331 Ry per atom.

The space group is P4/mbm (No. 127) and the conventional cell measures 7.896, 7.896 and 3.768 Å, with angles of 90.00, 90.00 and 90.00 degrees. The distinct sites, in fractional coordinates, are Ho at (0.169, 0.331, 0.000), In at (0.000, 0.000, 0.500) and Au at (0.130, 0.630, 0.500).

---

(7)
Zn2AgIr: relaxed, PBE.

The total energy comes out at -0.271 Ry per atom.

The space group is P4/mmm (No. 123) and the conventional cell measures 3.033, 3.033 and 6.549 Å, with angles of 90.00, 90.00 and 90.00 degrees. The distinct sites, in fractional coordinates, are Zn at (0.000, 0.000, 0.229), Ag at (0.500, 0.500, 0.500) and Ir at (0.500, 0.500, 0.000).

---

(8)
CaBrCl2: relaxed, PBE.
(Here the piece continues)

I have written the following code in order to try to plot the following integral against values of r, but MATLAB gives me an error -- is fun too long? am I going wrong somewhere else?
figure(1); %f_1
r = 0:0.001:50;
q = zeros(1, size(r));
for m = 1:numel(r)
fun = #(t) ((-3*(r(m).^3)*sin(3*t) + 2*(r(m)^2)*cos(2*t) + 7*r(m)*cos(t) -2*sin(t))*(-6*(r(m)^3)*sin(3*t) + 2*(r(m)^3)*cos(3*t) - 3*(r(m)^4)*cos(4*t) - 2*(r(m)^3)*sin(3*t) + 2*(r(m)^2)*cos(2*t) + 7*(r(m)^2)*sin(2*t))) - ((3*(r(m).^3).*cos(3*t) + 2*(r(m).^2).*sin(2*t) + 7*r(m).*sin(t) - 2*r(m).*cos(t))*(-6*(r(m).^3).*cos(3*t) + 2*(r(m).^3).*sin(3*t) + 3*(r(m).^4).*sin(4*t) - 2* (r(m).^3).*cos(3*t) - 2*(r(m).^2).*sin(2*t) + 7*(r(m).^2).*cos(2*t)))./((-3*(r(m).^3).*sin(3.*t) + 2*(r(m).^2)*cos(2.*t) + 7*r(m).*cos(t) - 2*sin(t)).^2 + (3*(r(m).^3).*cos(3*t) + 2*(r(m).^2).*sin(2*t) + 7*r(m).*sin(t) - 2*r(m).*cos(t)).^2);
q(m) = quad(fun, 0, 2*pi);
The error I get is
Error using * Inner matrix dimensions must agree.
Error in #(t)......
Error in quad (line 76) y = f(x, varargin{:});
I'll show you a way you may proceed, based on a retained r and fun (I did not pick all the terms of the native function):
r = 0:0.1:50;
q = zeros(size(r));
for ii = 1:numel(r)
fun = #(t) (-3.*(r(ii).^3).*sin(3.*t) + 2.*(r(ii).^2).*cos(2.*t) + 7.*r(ii).*cos(t) -2.*sin(t));
q(ii) = quad(fun,0,2.*pi);
Since your r is quite huge (50001 elements if I remember right), I'd go for parfor insted of simple for loop, too.
As alternative solution, you could achieve the same results without any anonymous function, by following this way:
r = 0:.01:50;
fun1 = zeros(size(r));
t = 0:.001:(2*pi);
for ii = 1:numel(r)
fun1(ii) = trapz(t,(-3.*(r(ii).^3).*sin(3.*t) + 2.*(r(ii).^2).*cos(2.*t) + 7.*r(ii).*cos(t) -2.*sin(t)));

Matlab solve gives answer that isn't correct when calculated by hand

smys x y A;
L = A*(-2*x -y -3) + 2*x^2 - 2*x*y + 3*y^2;
Lx = diff(L, x);
Ly = diff(L, y);
LA = diff(L, A);
a = solve(Lx, Ly, LA);
a = [a.x, a.y, a.A]
a =
[ -7/6, -2/3, -5/3]
Now this piece looks ok and doing
subs(Lx, {x,y,A}, a)
Gives the expected 0, however, if I were to take the values and manually calculate the Lx/Ly/LA I get anything but 0. Why is it so?
It is correct. If I didn't break the calculations it looks like
Lx = -2*A+4*x-2*y
and thus
Lx = -2*(-5/3)+4*(-7/6)-2*(-2/3) = 10/3 - 14/3 + 4/3 = 0
The same holds for Ly and LA.